Exercise
Now work out how many lines further below have the word "Energy" in them; a number is enough.

Listing
+++
1.
# LaErGa2Pd4

An optimized crystal structure of LaErGa2Pd4 (GGA-PBE, OQMD via LeMat-Bulk).

```
data_LaErGa2Pd4
_symmetry_space_group_name_H-M 'P -6 m 2'
_symmetry_Int_Tables_number 187
_symmetry_space_group_name_Hall 'P -6 2'
_cell_length_a 4.4348
_cell_length_b 4.4348
_cell_length_c 9.2659
_cell_angle_alpha 90.00
_cell_angle_beta 90.00
_cell_angle_gamma 120.00
loop_
_atom_site_label
_atom_site_fract_x
_atom_site_fract_y
_atom_site_fract_z
La1 0.0000 0.0000 0.0000
Er1 0.3333 0.6667 0.5000
Ga1 0.6667 0.3333 0.2634
Pd1 0.0000 0.0000 0.3379
Pd2 0.3333 0.6667 0.1864
```

=====

2.
# LiErGa

An optimized crystal structure of LiErGa (GGA-PBE, OQMD via LeMat-Bulk).

Values from the calculation:
- Energy relative to the lowest polymorph listed for this composition: 368 meV per atom

```
data_LiErGa
_symmetry_space_group_name_H-M 'F -4 3 m'
_symmetry_Int_Tables_number 216
_symmetry_space_group_name_Hall 'F -4 2 3'
_cell_length_a 6.6790
_cell_length_b 6.6790
_cell_length_c 6.6790
_cell_angle_alpha 90.00
_cell_angle_beta 90.00
_cell_angle_gamma 90.00
loop_
_atom_site_label
_atom_site_fract_x
_atom_site_fract_y
_atom_site_fract_z
Li1 0.0000 0.0000 0.0000
Er1 0.2500 0.2500 0.7500
Ga1 0.0000 0.0000 0.5000
```

=====

For the records above, the corresponding E_tot values read -43.3 -34.9 eV for the cell shown.

----------

# 1
The following is a DFT calculation (PBE-GGA) of crystalline Sr3Mg3Ga2 at its relaxed geometry.

- calculated formation energy (meV/atom) = -227
- total energy (eV per atom) = -2.213

abc: 6.399 8.791 17.380
angles: 90.00 90.00 90.00
Sites, in units of the cell vectors:
Mg 0.109 0.171 0.534
Mg 0.109 0.171 0.966
Mg 0.891 0.829 0.466
Mg 0.125 0.172 0.250
Mg 0.609 0.329 0.466
Mg 0.375 0.672 0.250
Mg 0.891 0.829 0.034
Mg 0.609 0.329 0.034
Mg 0.391 0.671 0.534
Mg 0.625 0.328 0.750
Mg 0.391 0.671 0.966
Mg 0.875 0.828 0.750
Ga 0.613 0.619 0.392
Ga 0.887 0.119 0.108
Ga 0.113 0.881 0.892
Ga 0.613 0.619 0.108
Ga 0.887 0.119 0.392
Ga 0.387 0.381 0.608
Ga 0.387 0.381 0.892
Ga 0.113 0.881 0.608
Sr 0.859 0.834 0.250
Sr 0.359 0.666 0.750
Sr 0.886 0.534 0.608
Sr 0.114 0.466 0.392
Sr 0.614 0.034 0.608
Sr 0.114 0.466 0.108
Sr 0.614 0.034 0.892
Sr 0.386 0.966 0.392
Sr 0.641 0.334 0.250
Sr 0.386 0.966 0.108
Sr 0.886 0.534 0.892
Sr 0.141 0.166 0.750



# 2
The following is a DFT calculation (PBE-GGA) of crystalline Mn3Tc at its relaxed geometry.

- calculated formation energy (meV/atom) = 70
- total energy (eV per atom) = -9.398

abc: 2.584 2.584 7.348
angles: 90.00 90.00 90.03
Sites, in units of the cell vectors:
Tc 0.500 0.500 0.250
Mn 0.500 0.500 0.750
Mn 0.000 0.000 0.981
Mn 0.000 0.000 0.519



# 3
The following is a DFT calculation (PBE-GGA) of crystalline CuWSe2 at its relaxed geometry.

- energy above the most stable polymorph in this dataset (eV per atom) = 0.6882
- total energy (eV per atom) = -5.468
- formation energy (no corrections) (eV/atom) = 0.537

abc: 4.330 2.645 6.688
angles: 111.35 90.00 90.00
Sites, in units of the cell vectors:
Cu 0.500 0.750 0.750
Se 0.000 0.489 0.495
Se 0.000 0.011 0.005
W 0.500 0.250 0.250



# 4
The following is a DFT calculation (PBE-GGA) of crystalline KMg2Te at its relaxed geometry.

- total energy (eV per atom) = -2.016
- formation energy (no corrections) (eV/atom) = -0.159

abc: 4.000 4.000 8.103
angles: 90.00 90.00 90.02
Sites, in units of the cell vectors:
Mg 0.000 0.000 0.436
Mg 0.000 0.000 0.064
Te 0.500 0.500 0.250
K 0.500 0.500 0.750



# 5
The following is a DFT calculation (PBE-GGA) of crystalline SrCuRh at its relaxed geometry.

- calculated formation energy (meV/atom) = -5
- energy above the most stable polymorph in this dataset (eV per atom) = 0.1977
- total energy (eV per atom) = -4.382

abc: 5.695 5.695 3.479
angles: 72.22 72.21 35.57
Sites, in units of the cell vectors:
Rh 0.379 0.379 0.621
Cu 0.951 0.951 0.049
Sr 0.669 0.669 0.331



# 6
The following is a DFT calculation (PBE-GGA) of crystalline KAs3F at its relaxed geometry.
+++

Result
1